–Nurse Barr
Nurse Barr is a mental figure in Hollis' Mind. She is based on one of Hollis Forsythe's real co-workers from her past as a medical student.
Nurse Barr has two forms inside Hollis' mind. In Hollis' Clasrrom, she appears completely human. In Hollis' Hot Streak, she appears as a humanoid with what appears to be a urine sample for a head.
Unrelated to this page: quantum chemistry results.
Here is a 7-piece molecular cluster, C19H56N4O7 overall at a distorted geometry from OMol25. Energies are from ωB97M-V/def2-TZVPD.

```
! RIJCOSX wB97M-V def2-TZVPD def2/J DEFGRID3
* xyz 0 1
C 2.4028 -3.3894 -0.5712
O 2.0330 -3.2734 -1.9061
C 2.9729 -3.8552 -2.7986
C 2.3738 -4.0543 -4.2003
C 1.0063 -4.6926 -4.1051
N 3.2531 -4.8616 -5.0570
H 2.5677 -4.4071 -0.1798
H 1.5866 -3.0218 0.0539
H 3.3281 -2.8608 -0.3085
H 3.9193 -3.3026 -2.7877
H 3.2071 -4.8466 -2.3833
H 2.2610 -3.0396 -4.6049
H 1.0312 -5.6157 -3.5250
H 0.5795 -4.9133 -5.0859
H 0.3085 -4.0003 -3.6364
H 4.1899 -4.4649 -5.0141
H 2.9561 -4.7328 -6.0183
C 2.1325 6.5314 1.1912
O 2.2272 5.1589 0.8906
C 1.1119 4.6896 0.1693
C 1.2700 3.2002 -0.0595
C 2.4181 2.8109 -1.0032
N 0.0208 2.6646 -0.6951
H 3.0873 6.9008 1.5570
H 1.3817 6.6947 1.9766
H 1.8185 7.1089 0.3131
H 0.1714 4.8905 0.7030
H 1.0754 5.2239 -0.7930
H 1.3670 2.6726 0.8928
H 3.2921 3.4332 -0.7738
H 2.2128 3.0911 -2.0356
H 2.6741 1.7740 -0.7996
H -0.5650 3.4955 -0.7940
H 0.1302 2.4095 -1.6718
C -1.2787 2.6986 3.0077
O -2.3509 3.5841 3.1861
C -3.5785 2.9261 3.4480
C -4.6570 3.9961 3.5382
C -5.8640 3.5005 4.3200
N -5.1109 4.3786 2.1921
H -0.3110 3.1583 3.2083
H -1.2549 2.2697 1.9984
H -1.3358 1.8458 3.6979
H -3.7962 2.1266 2.7337
H -3.4878 2.4898 4.4561
H -4.2669 4.8760 4.0614
H -6.2083 2.5361 3.9327
H -6.6856 4.2121 4.2766
H -5.6129 3.2578 5.3569
H -5.5313 5.3055 2.2351
H -4.3060 4.5607 1.5923
C 0.1329 -0.7165 -5.5217
O -0.9554 -1.0079 -4.6732
C -0.5183 -1.3235 -3.3543
C -1.7120 -1.8790 -2.5544
C -2.6631 -0.7467 -2.3029
N -1.2526 -2.3745 -1.2631
H -0.2558 -0.5536 -6.5235
H 0.8425 -1.5495 -5.5977
H 0.6803 0.1389 -5.1133
H 0.3246 -2.0186 -3.3844
H -0.1697 -0.3890 -2.8889
H -2.2266 -2.6374 -3.1496
H -3.4913 -1.0778 -1.6714
H -3.0446 -0.2539 -3.1968
H -2.1663 0.0514 -1.7360
H -0.7293 -1.6049 -0.8389
H -0.5200 -3.0808 -1.3082
C 0.8015 -0.4230 1.5090
O 0.2458 -0.1921 0.2310
H 1.8704 -0.1939 1.4616
H 0.3500 0.2123 2.2842
H 0.6527 -1.4281 1.9022
H 0.3194 0.7558 0.0426
C -0.1828 -4.7068 2.3842
O 0.9577 -4.1515 3.0307
H -0.1611 -5.7961 2.2970
H -1.1023 -4.4202 2.9023
H -0.2451 -4.3217 1.3669
H 1.0738 -4.6561 3.8451
C 2.1225 -1.5539 4.8705
O 2.7539 -2.1713 3.7644
H 2.7424 -0.7501 5.2667
H 1.1338 -1.1906 4.5826
H 2.0622 -2.2525 5.7162
H 2.1638 -2.8776 3.4399
*
```

- SMILES = COC[C@H](C)N.COC[C@H](C)N.COC[C@H](C)N.COC[C@H](C)N.CO.CO.CO
- E_LUMO (eV) = 0.58
- F_max (hartree/bohr) = 0.0372
- highest occupied orbital energy (eV) = -8.683



Here is an isolated ion of composition C9H16ClN2 and charge +1 at a distorted geometry from OMol25. Energies are from ωB97M-V/def2-TZVPD.

```
! RIJCOSX wB97M-V def2-TZVPD def2/J DEFGRID3
* xyz 1 1
C 0.5226 0.4357 0.2562
C 0.3886 -2.3706 -0.1632
C -2.1506 1.6881 0.0844
C -0.6245 -1.6399 -1.0469
C -2.1937 0.4543 -0.7991
C 1.7136 -1.6685 0.2003
C -0.8078 2.4296 -0.1063
C -1.3903 -0.6609 -0.2205
C 2.7673 0.3769 1.0657
N 1.5245 -0.3121 0.6215
N 0.3528 1.6817 0.2447
Cl -2.1694 -1.2296 1.2140
H -0.1061 -2.7344 0.7571
(First encounter) Raz: "I'd like to make a bet!"
Nurse Barr: "Sure. Which runner SUITS you this evening?"
- Raz: "I'd like to join the winners' CLUB."
- Nurse Barr: "Good luck with that. And... THEY'RE OFF! Coming up to the finish line... And it's "Spade in Full" taking the trophy!"
- Raz: "I gotta follow my HEART."
- Nurse Barr: "What? Haven't you seen the odds?"
- Raz: "Hey, no one can lose forever, right?"
- Nurse Barr: "(laughs) You don't know Hearts. And... THEY'RE OFF! Coming up to the finish line... And it's "Diamond Daze" for the win!"
_Here the piece breaks off for data records_
┌──
Computed, not measured: a molecular structure, C25H28N4NiSeSi, with wB97M-V/def2-TZVPD.

The value obtained for the HOMO-LUMO gap (alpha / beta) is 6.8 / 5.9 eV. As for the multiplicity: 3. The expectation value of S² is 2.0453. The HOMO energy (alpha / beta) is -6.95 / -6.95 eV.

Geometry (Å):
1 Ni -0.5680 -2.1444 0.1011
2 N -0.2715 2.7795 -0.7933
3 C 1.3226 1.1496 0.8320
4 C 2.6252 1.5071 1.1669
5 C 3.7071 0.8252 0.6662
6 C 3.4761 -0.2456 -0.2017
7 C 2.1985 -0.5554 -0.5584
8 N 1.1358 0.1434 -0.0506
9 C -0.9164 1.9486 0.2080
10 C -2.2281 2.5084 0.6918
11 C -3.4067 1.8989 0.5334
12 C -3.5001 0.6162 -0.1154
13 C -2.3451 0.0502 -0.5124
14 N -1.1303 0.6296 -0.3083
15 H -0.1552 3.7331 -0.4795
16 H 2.7508 2.3192 1.8681
17 H 4.7118 1.1053 0.9472
18 H 4.2807 -0.8352 -0.6152
19 H 1.9153 -1.3550 -1.2275
20 H -2.1558 3.4627 1.1990
21 H -4.3043 2.3800 0.9010
22 H -4.4426 0.1369 -0.3220
23 H -2.3009 -0.8903 -1.0561
24 C -1.9253 1.9874 -3.2013
25 Si -0.2875 2.6093 -2.5385
26 C 0.0426 4.3533 -3.1384
27 C 1.0834 1.4709 -3.1150
28 N -0.0652 -0.2813 -0.5314
29 C 0.0992 1.7788 1.4413
30 C 0.4226 3.1092 2.0512
31 C 0.1331 3.4189 3.3388
32 C -0.4633 2.4821 4.2096
33 C -0.7551 1.1902 3.7287
34 C -0.4997 0.8387 2.4461
35 H -2.0017 2.2190 -4.2658
36 H -2.7719 2.4489 -2.6919
37 H -2.0211 0.9068 -3.0955
38 H 0.0616 4.3877 -4.2282
39 H 1.0081 4.7193 -2.7854
40 H -0.7300 5.0444 -2.7990
41 H 1.2403 1.5841 -4.1895
42 H 0.8373 0.4262 -2.9221
43 H 2.0264 1.7007 -2.6145
44 H 0.8987 3.8450 1.4150
45 H 0.3691 4.4090 3.7090
46 H -0.6817 2.7490 5.2327
47 H -1.2010 0.4627 4.3947
48 H -0.7401 -0.1618 2.0983
49 Se 0.1772 -3.8288 -1.2875
50 C 0.3399 -5.4336 -0.2488
51 C 1.5777 -6.0556 -0.1155
52 C 1.7022 -7.2381 0.5977
53 C 0.5930 -7.8177 1.1953
54 C -0.6459 -7.2048 1.0650
55 C -0.7722 -6.0275 0.3455
56 H 2.4505 -5.6075 -0.5736
57 H 2.6746 -7.7059 0.6885
58 H 0.6912 -8.7390 1.7547
59 H -1.5228 -7.6470 1.5212
60 H -1.7430 -5.5606 0.2345

~~~~~

Record 1
The following is a quantum chemistry calculation of 2 unconnected molecules or ions with the total composition C4H7ClO2 in a non-equilibrium geometry, from the Open Molecules 2025 dataset.

Values from the calculation:
LUMO: -0.0782 hartree
calculated total energy: -20871.511 eV
frontier orbital gap: 0.262 Ha

CARTESIAN COORDINATES (ANGSTROEM)
H -0.47193 -2.07644 -1.42268
H -1.52771 0.82938 -1.13847
H 1.43430 -0.49610 -1.26464
H 1.85105 0.73058 0.34924
O -1.07941 -0.23620 1.45119
C -0.34216 0.73039 0.90559
C 0.55229 -0.48465 -0.65713
Cl 1.67514 -0.74603 1.82603
H -0.33028 1.70874 1.46033
C 1.03536 0.12153 0.64576
O -0.01994 -1.77003 -0.59558
C -0.49802 0.83764 -0.59638
H -0.04762 1.81513 -1.06898
H -2.23107 -0.96393 0.10572

=====

Record 2
The following is a quantum chemistry calculation of C4H7ClO2Si in the gas phase in a non-equilibrium geometry, from the Open Molecules 2025 dataset.

Values from the calculation:
LUMO (spin up / spin down): -0.0565 / -0.0565 hartree
calculated total energy: -28751.308 eV
└──
- Raz: "I'm digging for luck with SPADES."
- Nurse Barr: "Please leave all gambling jokes to the PROFESSIONALS. And... THEY'RE OFF! Coming up to the finish line... And it's "Diamond Daze" for the win!"
Nurse Barr: "That's weird most people usually win every time well try again bye! Okay, that's the last bet! Runners to your starting gates! Prepare the patient for the exam! And... THEY'RE OFF!"
These records of molecules were left in the entry by mistake
- - -
one:
18
Properties=species:S:1:pos:R:3:mulliken_charge:R:1 method="wB97M-V/def2-TZVPD" homo_lumo_gap_ev=6.1 homo_energy_ev=-8.853
C -0.286 1.093 1.190 -1.159
C -0.762 -0.251 0.751 0.144
C 0.295 -1.034 0.101 0.047
C 0.451 -0.868 -1.385 -1.163
H 0.049 1.759 0.384 0.319
H -1.006 1.755 1.687 0.357
H 0.602 1.068 1.827 0.412
H -1.654 0.097 -0.108 0.091
H -1.329 -0.765 1.531 0.359
H 0.379 -2.034 0.522 0.342
H 0.302 0.172 -1.665 0.315
H 1.428 -1.092 -1.812 0.332
H 1.274 -0.472 0.532 0.160
H 3.318 0.474 0.337 0.185
O 2.354 0.450 0.319 -0.713
H -3.016 0.779 -1.073 0.260
H -0.244 -1.478 -1.970 0.355
O -2.155 0.348 -1.167 -0.646

---

two:
18
Properties=species:S:1:pos:R:3:mulliken_charge:R:1 method="wB97M-V/def2-TZVPD" homo_lumo_gap_ev=10.7 smiles=CCCOC.O homo_energy_ev=-10.091
O -1.124 -0.214 0.838 -0.320
C -0.507 -1.385 1.387 -0.710
C -2.027 1.257 -1.469 -1.043
C -0.199 0.072 -0.222 -0.366
C -0.568 1.378 -0.944 -0.506
H -0.218 -2.225 0.733 0.291
H -1.270 -1.741 2.100 0.269
H 0.380 -1.059 1.955 0.291
H -2.222 0.358 -2.078 0.292
H -2.231 2.150 -2.084 0.342
H -2.718 1.256 -0.609 0.263
H -0.107 -0.709 -1.001 0.319
H 0.802 0.216 0.230 0.292
H 0.123 1.611 -1.777 0.315
H -0.522 2.218 -0.224 0.279
O 4.327 -0.710 1.027 -0.648
H 3.933 -1.241 0.298 0.318
H 4.147 -1.233 1.840 0.323

---

three:
18
Properties=species:S:1:pos:R:3:mulliken_charge:R:1 method="wB97M-V/def2-TZVPD" homo_lumo_gap_ev=11.2 smiles=CCO.CCO homo_energy_ev=-10.180
C 2.388 4.955 0.909 -0.283
O 1.345 5.412 1.782 -0.518
C 2.501 3.455 0.873 -0.877
H 3.304 5.456 1.207 0.265
H 2.166 5.382 -0.078 0.267
H 0.528 5.367 1.276 0.298
H 2.866 3.087 1.836 0.250
H 3.303 3.217 0.168 0.299
H 1.623 2.864 0.644 0.300
C -1.871 -4.943 -0.908 -0.150
O -1.620 -5.064 -2.320 -0.522
C -2.734 -3.780 -0.549 -1.156
H -0.855 -4.807 -0.528 0.232
H -2.249 -5.863 -0.470 0.265
H -1.878 -4.222 -2.715 0.298
H -2.261 -2.813 -0.714 0.372
H -2.817 -3.824 0.545 0.324
H -3.739 -3.878 -0.956 0.338

---

four:
18
Properties=species:S:1:pos:R:3:mulliken_charge:R:1 method="wB97M-V/def2-TZVPD" homo_lumo_gap_ev=4.0 homo_energy_ev=-8.793
C 0.493 1.450 -0.497 -0.950
C 1.150 0.045 -0.588 -0.533
C 0.388 -1.118 0.098 -0.377
C -0.832 -1.566 -0.622 -0.715
H -0.477 1.477 -1.004 0.309
H 1.175 2.249 -0.791 0.312
H 0.275 1.566 0.565 0.325
H 1.466 -0.186 -1.611 0.400
H 2.030 0.087 0.055 0.292
H 1.080 -1.802 0.590 0.477
H -1.515 -2.125 0.015 0.406
H -0.607 -2.035 -1.584 0.348
H -0.069 -0.566 0.982 0.201
H 1.411 0.569 3.110 0.224
O 1.324 0.443 2.151 -0.566
H -3.091 0.923 -1.040 0.237
H -1.524 -0.606 -0.842 0.217
O -2.245 0.527 -0.748 -0.608

---

Stability check: which of them is most stable? three.

---

one:
18
Properties=species:S:1:pos:R:3:mulliken_charge:R:1 method="wB97M-V/def2-TZVPD" homo_lumo_gap_ev=10.6 smiles=CCO.CCO homo_energy_ev=-9.822
- - -
The records of molecules stop here
(EKG Patient talks to Nurse Barr) EKG Patient: "(sigh) So can I go back to my room now?"
Nurse Barr: "Sorry, sir. The doctor wants more tests."
EKG Patient: "(moans)"
(The patient talks to Nurse Barr second time) EKG Patient: "Phew! I'm beat!"
Nurse Barr: "Don't you go anywhere! There was a problem with that test and we need a do-over."
EKG Patient: "(moans)"
- "Spade in Full" seems to be fading.
- "Diamond Daze" dropping down!
- "Spade in Full" pulling ahead like a royal flush!
- "Diamond Daze" in the lead!
- "Billy the Club" looks all in!
- "Diamond Daze" looking sharp!
- Congratulations to the winners on their bets.
- Runners, take a hot five in the back.
- Doctors and nurses, place your bets! Next race will be starting soon!
- "Spade in Full" out in front!
- "Billy the Club" wins the race, folks!
Hollis Forsythe[]
Hollis was Barr's coworker.
Dr. Potts[]
Dr. Potts is Barr's boss.
- The names of the nurses in Hollis' Mind are likely meant to reference slot machines. "Bar" is an icon that commonly appears on slot machine reels, and supposedly originally represented a bar of chewing gum.
- Nurse Barr and Nurse Bell have very similar human appearances.
- Nurse Barr sees Raz as a lollipop.